Kuna Surveillance Camera Support

Looks good! You may need to make a folder for each of those serial number subdirs, not sure if the downloader component handles that automatically.

And, where you’re using the filename parameter, you may need to specify the extension: '{{ trigger.event.data.label}}.mp4'.

The downloader component automatically creates the subdir if it doesn’t exist. Good call on the extension, I’ll add that now.

I might change the folder name from SN to a friendly name through a template or with an automation per camera (with the SN as a condition on the trigger).

Would it be possible to add the camera name (as defined in home assistant) to the event?

Between two parts of the entry: records of crystals:
┌──
SrSm4Pd4 | PBE | optimized geometry

a b c (Å): 9.489 9.489 5.801
angles (deg): 90.00 90.00 90.00
Sites, in units of the cell vectors:
1 Sr 0.250 0.250 0.250
2 Sr 0.750 0.750 0.750
3 Sm 0.086 0.647 0.168
4 Sm 0.147 0.914 0.668
5 Sm 0.353 0.586 0.668
6 Sm 0.414 0.853 0.168
7 Sm 0.586 0.147 0.832
8 Sm 0.647 0.414 0.332
9 Sm 0.853 0.086 0.332
10 Sm 0.914 0.353 0.832
11 Pd 0.052 0.614 0.666
12 Pd 0.114 0.948 0.166
13 Pd 0.386 0.552 0.166
14 Pd 0.448 0.886 0.666
15 Pd 0.552 0.114 0.334
16 Pd 0.614 0.448 0.834
17 Pd 0.886 0.052 0.834
18 Pd 0.948 0.386 0.334

## Properties
- energy relative to the elements (eV per atom) = -0.62
- volume (Å³/atom) = 29.0
└──
The records of crystals stop here:

Wow, this is superb! I’ll update today and report back.

Here the page breaks off for materials data
........
1.
First-principles (PBE) data for crystalline Li2YC at its relaxed geometry, as listed in Alexandria via LeMat-Bulk.

Lattice parameters (Å, degrees): 3.605 3.605 19.329 90.00 90.00 90.00
Space group I-42d (No. 122)
Unique sites:
Li1 0.180 0.750 0.125 (multiplicity 8)
Y1 0.000 0.000 0.500 (multiplicity 4)
C1 0.000 0.000 0.000 (multiplicity 4)

Summary:
Size of the total moment in μB/cell: 0.00
Formation energy from the elements in eV/atom: 0.3780


2.
First-principles (PBE) data for crystalline Li3YC at its relaxed geometry, as listed in Alexandria via LeMat-Bulk.

Lattice parameters (Å, degrees): 6.034 6.034 6.034 90.00 90.00 90.00
Space group Pm-3m (No. 221)
Unique sites:
Li1 0.000 0.000 0.500 (multiplicity 3)
Y1 0.000 0.000 0.000 (multiplicity 1)
C1 0.500 0.500 0.500 (multiplicity 1)

Summary:
Size of the total moment in μB/cell: 5.27
Energy relative to the lowest polymorph listed for this composition in meV/atom: 1881
Formation energy from the elements in eV/atom: 2.3427


3.
First-principles (PBE) data for crystalline LiYC3 at its relaxed geometry, as listed in Alexandria via LeMat-Bulk.

Lattice parameters (Å, degrees): 4.579 4.579 4.579 90.00 90.00 90.00
Space group Pm-3m (No. 221)
Unique sites:
Li1 0.000 0.000 0.000 (multiplicity 1)
Y1 0.500 0.500 0.500 (multiplicity 1)
C1 0.000 0.500 0.500 (multiplicity 3)

Summary:
Size of the total moment in μB/cell: 0.00
Energy relative to the lowest polymorph listed for this composition in meV/atom: 780
Formation energy from the elements in eV/atom: 2.4241


4.
First-principles (PBE) data for crystalline LiYC3 at its relaxed geometry, as listed in Alexandria via LeMat-Bulk.

Lattice parameters (Å, degrees): 3.789 3.789 3.789 90.00 90.00 90.00
Space group Pm-3m (No. 221)
Unique sites:
Li1 0.000 0.000 0.000 (multiplicity 1)
Y1 0.500 0.500 0.500 (multiplicity 1)
C1 0.000 0.000 0.500 (multiplicity 3)

Summary:
Size of the total moment in μB/cell: 0.00
Energy relative to the lowest polymorph listed for this composition in meV/atom: 0
Formation energy from the elements in eV/atom: 1.6438


5.
First-principles (PBE) data for crystalline Li2YZnC at its relaxed geometry, as listed in Alexandria via LeMat-Bulk.

Lattice parameters (Å, degrees): 6.120 6.120 4.214 90.00 90.00 90.00
Space group P4/mmm (No. 123)
Unique sites:
Li1 0.000 0.500 0.000 (multiplicity 2)
Y1 0.000 0.000 0.000 (multiplicity 1)
Zn1 0.500 0.500 0.500 (multiplicity 1)
C1 0.000 0.000 0.500 (multiplicity 1)

Summary:
Size of the total moment in μB/cell: 0.00
Formation energy from the elements in eV/atom: 1.1734


6.
First-principles (PBE) data for crystalline LiY2ZrC at its relaxed geometry, as listed in Alexandria via LeMat-Bulk.

Lattice parameters (Å, degrees): 5.027 5.027 4.507 90.00 90.00 90.00
Space group P4/mmm (No. 123)
Unique sites:
Li1 0.000 0.000 0.000 (multiplicity 1)
Y1 0.000 0.500 0.500 (multiplicity 2)
Zr1 0.500 0.500 0.000 (multiplicity 1)
C1 0.500 0.500 0.500 (multiplicity 1)

Summary:
........

I’m having problems getting it to fully load.

When I restart I get:
Request to Kuna API timed out
There was an error logging into Kuna: No Kuna API token response returned, check username and password.
Setup failed for kuna: Component ‘kuna’ did not return boolean if setup was successful. Disabling component.

Timeouts in Kuna for me are common, though. I’m not sure if there’s a way to fix that…my network is pretty good. Maybe they are throttling me?

Or it may be my network, since my ecobee is doing similar:
Error connecting to Ecobee. Possible connectivity outage.

Seems fairly unlikely that they are throttling you and more likely, given your ecobee issues also, that there’s something flaky with your internet connection? The underlying pykuna library specifies 3 seconds as a timeout value, and I can get a response from the API in less than a half a second for a normal request. I know you remarked before that you saw lots of timeouts in your log, but I can say that I’ve actually never seen a timeout in either use or testing.

I’d be interested to hear others’ experiences on this as well.

I think the best I can do at this point is to add the name of the camera as it’s known in the Kuna app. I’ll do that and release an update.

Well, I waited a bit and restarted, ecobee is back online but not the Kuna. I am able to hit it from the app though.

Do you have something I can ping or trace route, to try to troubleshoot?

Strange that it’s not coming back up, especially since it does seem to be working for others (rules out something I screwed up in the library at least). Out of interest, what version of HASS and python are you using? Do you have the Kuna app installed on an iPhone or Android?

You could use Postman to try to interact with the API directly. The auth url (that you seem to have trouble hitting) is at https://server.kunasystems.com/api/v1/account/auth. To obtain an auth token you need to make a POST request to that url with the json body:

### Inserted here: calculated crystals
Entry 1:
Here is a geometry-optimized YInNO2 structure from Alexandria. Energies are from GGA-PBE.

For the energy relative to the elements, uncorrected, the calculation gives -62.7 kJ/mol of atoms. The value obtained for the uncorrected energy is -30.69 eV for the cell shown. Its magnetic moment is 2.9 μB/f.u.

The structure belongs to space group P4/mmm (No. 123); the cell edges are 4.427, 4.427 and 4.674 Å and the angles 90.00°, 90.00° and 90.00°. Symmetry generates all atoms from Y at (0.000, 0.000, 0.000), In at (0.500, 0.500, 0.500), N at (0.000, 0.000, 0.500) and O at (0.000, 0.500, 0.000).

=====

Entry 2:
Here is a geometry-optimized YInN2O structure from Alexandria. Energies are from GGA-PBE.

For the energy relative to the elements, uncorrected, the calculation gives -8.4 kJ/mol of atoms. The value obtained for the uncorrected energy is -31.25 eV for the cell shown. Its magnetic moment is 0.0 μB/f.u.

The structure belongs to space group P4/mmm (No. 123); the cell edges are 4.121, 4.121 and 4.148 Å and the angles 90.00°, 90.00° and 90.00°. Symmetry generates all atoms from Y at (0.000, 0.000, 0.000), In at (0.500, 0.500, 0.500), N at (0.000, 0.500, 0.500) and O at (0.500, 0.500, 0.000).

=====

Entry 3:
Here is a geometry-optimized YInNO2 structure from Alexandria. Energies are from GGA-PBE.

For the energy relative to the elements, uncorrected, the calculation gives -93.0 kJ/mol of atoms. The value obtained for the uncorrected energy is -32.26 eV for the cell shown. Its magnetic moment is 0.0 μB/f.u.

The structure belongs to space group P4/mmm (No. 123); the cell edges are 4.105, 4.105 and 4.162 Å and the angles 90.00°, 90.00° and 90.00°. Symmetry generates all atoms from Y at (0.000, 0.000, 0.000), In at (0.500, 0.500, 0.500), N at (0.500, 0.500, 0.000) and O at (0.000, 0.500, 0.500).

=====

Entry 4:
Here is a geometry-optimized Zr6In2NO structure from Alexandria. Energies are from GGA-PBE.

For the energy relative to the elements, uncorrected, the calculation gives -94.7 kJ/mol of atoms. The value obtained for the uncorrected energy is -159.73 eV for the cell shown. Its magnetic moment is 0.0 μB/f.u.

The structure belongs to space group Pmmn (No. 59, origin choice 2); the cell edges are 6.296, 9.403 and 6.297 Å and the angles 90.00°, 90.00° and 90.00°. Symmetry generates all atoms from Zr at (0.002, 0.250, 0.001), Zr at (0.002, 0.250, 0.498), Zr at (0.250, 0.002, 0.250), In at (0.250, 0.000, 0.750), N at (0.250, 0.250, 0.249) and O at (0.250, 0.750, 0.251).

=====

Entry 5:
Here is a geometry-optimized InOs2N structure from Alexandria. Energies are from GGA-PBE.

For the energy relative to the elements, uncorrected, the calculation gives 58.6 kJ/mol of atoms. The value obtained for the uncorrected energy is -124.37 eV for the cell shown. Its magnetic moment is 0.0 μB/f.u. The calculation puts the excess energy over the best structure of this formula in the dataset at 0.0 meV per atom.

{ "email": "YOUR_EMAIL", "password": "YOUR_PASSWORD" }

If that times out then there’s some issue with your connection to Kuna I think? You could also tracert that. If it works then I’ve got to dig deeper for the problem.

This is a bit mindblowing. When I use postman to POST to that URL, I get an immediate response of:

“detail”: “Method “GET” not allowed.”

Same as if I actually do a GET command. I tried from my work network also and get the same result.

For grins I also tried PUT and PATCH. From my home, I get HTML, core of which:

Page unavailable

Sorry but the requested page is unavailable due to a server hiccup.

Our engineers have been notified so do check back on us later.

However, from my work network I get similar to the GET but for actual corresponding method.

Weird that it works for you. Are you in US?

I am using the docker version of hass:

I’m in Canada, not USA. What’s odd is that it’s working from your app.

I think at this point it seems like it’s not related to the component…? Since the post request you are sending from postman should return a json response: {“token”:“longtokenstring”}.

Yeah, I’m fairly confident it’s not the component either. Just bummer that it’s not working for me, and apparently I’m the only one. That’s why I’m looking for regional differences or something, but I can’t imagine why CA would be different than US.

Well…some progress. I was missing the trailing slash:


I posted that from my work network, I get a token returned. When I do it from my home network, I get the “Sorry but the requested page is unavailable due to a server hiccup.”

So I feel like they’ve done something specific to my IP, or something.

I’m getting the same ‘No Kuna API’ thing upon HA container restart that @TarheelGrad1998 is - image

Didn’t have the issue at all with v6. The component does however load without issue if I reboot the VM, which I guess completely destroys the homeassistant container

I’m starting to wonder if its related to the change from sync to async under the hood. After you “reboot the VM” does it work from then on?

I have myself experienced an issue where new dependencies for a custom component are sometimes not installed properly after a restart - though this still wouldn’t answer @TarheelGrad1998’s issue with not being able to get a token returned even from Postman. The strange thing is if you can’t use Postman, then the Kuna App shouldn’t work either as the API calls are the exact same. I’m boggled by this.

Still wasn’t working for me today. Then I realized my work machine still had the Content-Type = application/json header. Once I added that to my home machine, I get the token immediately. Don’t use my home machine to code usually.

Does the hass code add that header?

I may try to dig a bit myself later. I’m a MS developer but blind to python.

This could be it… I think that requests (the sync python http client) may add the content type automatically and so I never worried about setting it. I’ll add it to the library and release a new update later today.

I just uploaded v7.1 - can you try it and see if it resolves your issue?

Success! Updated, restarted, and everything came up the first time.

I did get a timeout when I click to view the larger camera image. Could that be another touchpoint?

Anyway, thanks for the help and patience. Keep up the good work!

Hi there!
Still having an issue when upgrading to the last version, same one than @HITChris.

*** Extract from log ***
Setup failed for kuna: Component ‘kuna’ did not return boolean if setup was successful. Disabling component.
18:57 setup.py (ERROR)
There was an error logging into Kuna: No Kuna API token response returned, check username and password.
18:57 custom_components/kuna/init.py (ERROR)
Request to Kuna API timed out
18:57 deps/lib/python3.7/site-packages/pykuna/kuna.py (ERROR)

Do I need to upgrade pykuna as well?
Thanks guys!

Can you try updating to the latest version of the component? The latest version of pykuna is specified in the latest version of the component.